<<<
Entry 1:
VASP calculation (GGA-PBE) on a relaxed NaNpSeO6 crystal.

Results
**E_tot**: -0.50196 Ry/atom
**Energy of formation**: -2.01 eV per atom
**Crystal system**: monoclinic
**Corrected total energy (MP2020 scheme)**: -0.2678 hartree per atom

abc: 8.4170 8.4170 6.8422
angles: 70.39 109.61 128.81
Atoms (fractional coordinates):
1 Na 0.5370 0.4630 0.7913
2 Na 0.4630 0.5370 0.2087
3 Np 0.7372 0.2628 0.6314
4 Np 0.2628 0.7372 0.3686
5 Se 0.2033 0.7967 0.7999
6 Se 0.7967 0.2033 0.2001
7 O 0.0685 0.5853 0.6754
8 O 0.4147 0.9315 0.6754
9 O 0.9315 0.4147 0.3246
10 O 0.5853 0.0685 0.3246
11 O 0.8634 0.1366 0.7652
12 O 0.1366 0.8634 0.2348
13 O 0.7106 0.2894 0.9497
14 O 0.2894 0.7106 0.0503
15 O 0.6076 0.3924 0.5088
16 O 0.3924 0.6076 0.4912
17 O 0.2934 0.2934 0.0000
18 O 0.7066 0.7066 0.0000


Entry 2:
VASP calculation (GGA-PBE) on a relaxed ZrFeGe2 crystal.

Results
**E_tot**: -0.52001 Ry/atom
**Energy of formation**: -0.51 eV per atom
**Crystal system**: orthorhombic

abc: 7.9888 9.2327 10.2404
angles: 90.00 90.00 90.00
Atoms (fractional coordinates):
1 Zr 0.7465 0.8269 0.0490
2 Zr 0.7465 0.1731 0.9510
3 Zr 0.2535 0.6731 0.5490
4 Zr 0.2535 0.3269 0.4510
5 Zr 0.2535 0.1731 0.9510
6 Zr 0.2535 0.8269 0.0490
7 Zr 0.7465 0.3269 0.4510
8 Zr 0.7465 0.6731 0.5490
9 Zr 0.5000 0.8358 0.3223
10 Zr 0.5000 0.1642 0.6777
11 Zr 0.5000 0.6642 0.8223
12 Zr 0.5000 0.3358 0.1777
13 Fe 0.7493 0.5921 0.2521
14 Fe 0.7493 0.4079 0.7479
15 Fe 0.2507 0.9079 0.7521
16 Fe 0.2507 0.0921 0.2479
17 Fe 0.2507 0.4079 0.7479
18 Fe 0.2507 0.5921 0.2521
19 Fe 0.7493 0.0921 0.2479
20 Fe 0.7493 0.9079 0.7521
21 Fe 0.7463 0.0000 0.5000
22 Fe 0.2537 0.5000 0.0000
23 Fe 0.2537 0.0000 0.5000
24 Fe 0.7463 0.5000 0.0000
25 Ge 0.8437 0.8429 0.3194
26 Ge 0.8437 0.1571 0.6806
27 Ge 0.1563 0.6571 0.8194
28 Ge 0.1563 0.3429 0.1806
29 Ge 0.1563 0.1571 0.6806
30 Ge 0.1563 0.8429 0.3194
31 Ge 0.8437 0.3429 0.1806
32 Ge 0.8437 0.6571 0.8194
33 Ge 0.5000 0.5400 0.3791
34 Ge 0.5000 0.4600 0.6209
35 Ge 0.5000 0.9600 0.8791
36 Ge 0.5000 0.0400 0.1209
37 Ge 0.0000 0.5527 0.3794
38 Ge 0.0000 0.4473 0.6206
39 Ge 0.0000 0.9473 0.8794
40 Ge 0.0000 0.0527 0.1206
41 Ge 0.5000 0.6288 0.1030
42 Ge 0.5000 0.3712 0.8970
43 Ge 0.5000 0.8712 0.6030
44 Ge 0.5000 0.1288 0.3970
45 Ge 0.0000 0.6228 0.1014
46 Ge 0.0000 0.3772 0.8986
47 Ge 0.0000 0.8772 0.6014
48 Ge 0.0000 0.1228 0.3986


Record 1
The following is a DFT calculation (PBE) of an optimized crystal structure of Fe3Ni.

Lattice parameters (Å, degrees): 2.459 2.459 7.981 90.00 90.00 107.61
Element x y z (fractional)
Fe: 0.000 0.000 0.000
Fe: 0.500 0.500 0.251
Fe: 0.500 0.500 0.749
Ni: 0.000 0.000 0.500

Values from the calculation:
Raw total energy in eV/cell: -31.2
Calculated formation energy in meV per atom: 6
V in Å³/f.u.: 46.0

Record 2
The following is a DFT calculation (PBE) of an optimized crystal structure of Fe2Ni.

Lattice parameters (Å, degrees): 2.518 2.518 6.267 90.00 90.00 120.00
Element x y z (fractional)
Fe: 0.333 0.667 0.171
Fe: 0.667 0.333 0.829
Ni: 0.000 0.000 0.500

Values from the calculation:
Raw total energy in eV/cell: -22.6
Calculated formation energy in meV per atom: 45
V in Å³/f.u.: 34.4

Record 3
The following is a DFT calculation (PBE) of an optimized crystal structure of Fe3Ni.

Lattice parameters (Å, degrees): 3.585 3.585 3.585 90.00 90.00 90.00
Element x y z (fractional)
Fe: 0.000 0.000 0.500
Fe: 0.000 0.500 0.000
Fe: 0.500 0.000 0.000
Ni: 0.500 0.500 0.500

Values from the calculation:
Raw total energy in eV/cell: -31.0
Calculated formation energy in meV per atom: 44
V in Å³/f.u.: 46.1

Record 4
The following is a DFT calculation (PBE) of an optimized crystal structure of Fe3Ni.

Lattice parameters (Å, degrees): 4.488 4.488 4.488 133.72 133.72 67.53
Element x y z (fractional)
Fe: 0.000 0.000 0.000
Fe: 0.250 0.750 0.500
Fe: 0.750 0.250 0.500
Ni: 0.500 0.500 0.000

Values from the calculation:
Raw total energy in eV/cell: -31.0
Calculated formation energy in meV per atom: 43
V in Å³/f.u.: 46.4

Record 5
>>>
What is needed: repeat every line further above that contains the word "Ry".
**E_tot**: -0.50196 Ry/atom
**E_tot**: -0.52001 Ry/atom